Status: Done/Fixed
Resolution: Fixed/Completed
Affects Version/s: 4.6.9
Fix Version/s: 4.6.11
Component/s: CiviContribute
**Quantum chemistry results that have nothing to do with the article:**
- - -
Here is C40H29GaN3O2P2S3Se2 as an isolated structure from OMol25. Energies are from ωB97M-V/def2-TZVPD.

The geometry in XYZ format:
```
82
Properties=species:S:1:pos:R:3:forces:R:3
Ga 2.4607 0.6281 -1.5801 -0.3993 -0.1276 -0.1812
Se -1.1070 1.4065 3.7073 0.0034 0.0019 0.0049
P -0.7821 -0.5444 3.0064 0.0029 -0.0155 0.0009
C -2.2497 -1.2844 2.2237 -0.0050 0.0105 -0.0120
C -3.4981 -0.7774 2.5774 0.0022 -0.0069 -0.0022
C -4.6514 -1.3277 2.0373 0.0003 -0.0052 -0.0005
C -4.5652 -2.3838 1.1414 -0.0055 0.0004 0.0042
C -3.3229 -2.8871 0.7801 0.0076 -0.0022 -0.0009
C -2.1655 -2.3409 1.3145 -0.0058 0.0095 0.0010
C -0.1651 -1.7090 4.2440 0.0005 0.0091 -0.0092
C -0.0977 -3.0760 3.9768 -0.0027 -0.0091 0.0048
C 0.3912 -3.9407 4.9413 -0.0036 0.0020 -0.0009
C 0.8116 -3.4482 6.1700 0.0007 0.0041 0.0047
C 0.7414 -2.0897 6.4376 0.0006 -0.0029 -0.0003
C 0.2520 -1.2172 5.4767 0.0020 -0.0033 -0.0040
C 0.4542 -0.5795 1.6768 0.0125 0.0072 0.0365
C 1.0206 0.4189 0.9001 -0.0701 -0.0271 -0.0435
N 1.7643 -0.2513 -0.0191 0.1850 -0.0439 0.0911
N 1.6915 -1.5565 0.1905 -0.0645 0.0071 -0.0243
N 0.9158 -1.7681 1.2085 0.0075 0.0004 0.0113
P 1.0037 2.2121 0.7668 0.0838 0.0204 0.0468
Se 2.7203 2.7315 -0.5752 0.0390 0.0101 0.0270
C 1.4145 3.0541 2.2836 0.0063 -0.0221 -0.0049
C 0.7012 4.1829 2.6695 0.0080 0.0019 -0.0036
C 1.0550 4.8339 3.8402 0.0000 0.0042 0.0001
C 2.1024 4.3535 4.6133 -0.0020 0.0005 0.0003
C 2.8139 3.2272 4.2178 -0.0030 -0.0050 -0.0014
C 2.4783 2.5766 3.0445 -0.0004 0.0095 0.0055
C -0.5197 2.7835 0.0327 -0.0031 0.0063 -0.0100
C -0.5266 4.0058 -0.6422 -0.0069 -0.0065 -0.0079
C -1.7072 4.4764 -1.1884 -0.0014 0.0003 0.0000
C -2.8714 3.7268 -1.0722 0.0002 0.0015 0.0011
C -2.8605 2.5082 -0.4106 -0.0015 -0.0020 -0.0049
C -1.6858 2.0307 0.1466 0.0035 0.0045 -0.0107
H -3.5595 0.0526 3.2700 0.0019 0.0005 0.0005
H -5.6176 -0.9319 2.3209 0.0008 0.0008 0.0008
H -5.4660 -2.8153 0.7245 0.0011 0.0007 -0.0011
H -3.2508 -3.7060 0.0760 -0.0011 -0.0001 -0.0002
H -1.2035 -2.7342 1.0147 0.0012 -0.0041 -0.0039
H -0.4209 -3.4687 3.0233 0.0033 -0.0008 0.0014
H 0.4409 -5.0015 4.7351 0.0007 0.0005 -0.0010
H 1.1893 -4.1282 6.9223 -0.0007 -0.0003 -0.0001
H 1.0606 -1.7071 7.3978 -0.0007 0.0020 -0.0008
H 0.1803 -0.1563 5.6796 0.0020 -0.0002 0.0027
H -0.1391 4.5311 2.0830 0.0003 0.0015 0.0003
H 0.5036 5.7093 4.1549 0.0004 -0.0002 0.0008
H 2.3671 4.8595 5.5321 -0.0003 -0.0003 0.0004
H 3.6281 2.8565 4.8254 0.0008 0.0014 -0.0003
H 3.0287 1.6970 2.7317 -0.0009 -0.0016 0.0036
H 0.3853 4.5792 -0.7525 -0.0013 0.0016 -0.0006
H -1.7174 5.4220 -1.7127 0.0010 -0.0002 -0.0001
H -3.7916 4.0947 -1.5066 0.0008 0.0000 -0.0012
H -3.7666 1.9234 -0.3260 0.0012 -0.0033 -0.0028
H -1.6848 1.0838 0.6673 -0.0024 -0.0044 0.0084
O 5.2423 -0.8678 -1.9780 0.1244 -0.2077 -0.1128
C 4.1659 -0.5598 -2.0271 0.1670 0.4297 0.4875
O 1.4252 0.6145 -3.0237 0.0709 0.0569 -0.1882
C 0.9000 -0.4670 -3.7845 -0.0950 -0.0986 -0.0498
C -0.5612 -0.6400 -3.4104 -0.0045 0.0354 -0.0300
C -1.6562 -0.6094 -4.2187 -0.0129 0.0143 0.0121
- - -
Documentation Required?:None
Funding Source:Contributed Code
Follows from CRM-16833
A client is having issues where trying to edit a membership contribution, eg. to record a cheque number, is causing tax to be reapplied to (the non-editable) amount.
Further testing was needed to file an issue, this has since been done by the client, showing that the effect is constrained to non-priceset membership and participant contributions:
Molecular data that have nothing to do with the text =
-- begin --
{"formula": "C5H13N", "method": "ωB97M-V/def2-TZVPD", "elements": ["C", "C", "C", "C", "C", "N", "H", "H", "H", "H", "H", "H", "H", "H", "H", "H", "H", "H", "H"], "positions_angstrom": [[0.172023, 1.889565, -0.657447], [-0.262280, 0.754884, 0.271235], [-1.722911, 0.387839, 0.017755], [0.729545, -0.443619, 0.101317], [0.802406, -1.315806, 1.348015], [0.497712, -1.341017, -1.043937], [1.038742, 2.439300, -0.272630], [0.442736, 1.481644, -1.634509], [-0.599779, 2.632556, -0.841965], [-0.160806, 1.041901, 1.311809], [-2.091114, -0.254033, 0.817820], [-1.873377, -0.122100, -0.928869], [-2.315625, 1.297338, 0.099397], [1.708534, 0.006263, -0.061702], [0.782100, -0.709186, 2.263050], [1.745420, -1.857643, 1.363843], [-0.007433, -2.045903, 1.367530], [0.463980, -0.813364, -1.911890], [-0.437056, -1.735201, -0.954335]], "forces_ev_per_angstrom": [[0.25, 0.13, 0.00], [0.24, -0.46, -0.69], [0.23, 0.03, 0.88], [-0.28, -0.06, 0.01], [0.26, 0.25, 0.24], [-0.36, 0.39, 0.02], [-0.02, -0.24, -0.05], [0.04, 0.03, -0.06], [-0.24, 0.01, 0.12], [-0.05, 0.39, 0.19], [-0.03, -0.28, -0.03], [-0.12, 0.21, -0.21], [-0.18, -0.01, -0.36], [0.16, 0.02, 0.04], [-0.15, -0.14, -0.18], [-0.02, -0.20, -0.09], [-0.08, 0.05, 0.10], [0.17, 0.02, 0.02], [0.18, -0.14, 0.04]], "nbo_charge": [-0.61, -0.23, -0.62, -0.04, -0.61, -0.82, 0.21, 0.19, 0.21, 0.20, 0.21, 0.20, 0.21, 0.18, 0.20, 0.22, 0.20, 0.35, 0.34], "homo_energy_ev": -9.3, "smiles": "CC(C)[C@@H](C)N", "total_charge": 0, "gap_ev": 10.41}

=====
-- stop --
So much for the molecular data =
Scenario (steps to reproduce)
- Enable Sales Tax with amounts shown inclusive of tax.
- Create Sales Tax liability account ('GST') with 10% rate.
- Create taxable financial types (membership fee, event fee) with GST referenced as Sales Tax account.
- Create a new membership or event registration, recording a contribution with default minimum membership fee, or a selected fee from the event record respectively (no price-set used), status of 'Completed', payment instrument 'Cash'. GST will be calculated and a tax-inclusive total amount displayed and recorded correctly in the database.
- Edit the contribution record and optionally make changes to the record (not the amount) and save it (note: you do not need to make changes for the error to occur).
The contribution record is updated incorrectly to display a new total amount, being the original (tax-inclusive) amount plus a further tax amount calculated by multiplying the original amount by the sales tax rate (i.e. original tax-inclusive total + (tax rate * original tax- inclusive amount)).
The non deductible amount, total amount, and tax amount fields in the contribution table are all updated with new (invalid) amounts.
The value of the (invalid) new tax amount (being the sales tax rate multiplied by the original tax-inclusive total amount) is written in error to each of the corresponding income and tax accounts as new financial items in the financial items table and entity financial transactions table.
A new (invalid) financial transaction for this amount is also written in the financial transactions table.
The corresponding line item is also updated with the new (invalid) unit price and tax amounts in the line items table.
Tables affected, with invalid data:
- civicrm_contribution
- civicrm_entity_financial_trxn
**Someone pasted records of molecules at this point:**
~~~
A 4-piece molecular cluster, C26H30NO15S overall in a non-equilibrium geometry. Source: the Open Molecules 2025 dataset; level of theory: the ωB97M-V functional and the def2-TZVPD basis.

Its frontier orbital gap is 7.275 eV. Its net charge is +1. For the LUMO energy, the calculation gives -0.14277 hartree.

Last columns: bonded neighbours and bond lengths (Å).
CARTESIAN COORDINATES (ANGSTROEM)
1 O 4.0579 -4.0129 4.2381  S2 1.418
2 S 3.0228 -4.6256 3.4866  O1 1.418, O3 1.414, O4 1.567, C5 1.795
3 O 3.1061 -4.5175 2.0797  S2 1.414
4 O 2.9850 -6.1664 3.7670  S2 1.567, H14 0.975
5 C 1.4446 -3.9710 4.0380  S2 1.795, C6 1.528, H15 1.079, H16 1.074
6 C 0.5235 -3.5223 2.9048  C5 1.528, C7 1.549, H17 1.079, H18 1.075
7 C 0.6417 -2.0191 2.5524  C6 1.549, C8 1.541, H19 1.082, H20 1.080
8 C 1.0055 -1.6891 1.0917  C7 1.541, C9 1.535, H21 1.077, H22 1.076
9 C 2.5233 -1.4942 0.9718  C8 1.535, C10 1.510, C13 1.548, H23 1.081
10 C 3.2714 -2.0206 -0.2290  C9 1.510, C11 1.552, H24 1.077, H25 1.076
11 C 4.6857 -1.4043 -0.0623  C10 1.552, N12 1.507, H26 1.074, H27 1.072
12 N 4.5252 -0.3907 1.0418  C11 1.507, C13 1.481, H28 1.019, H29 1.019
13 C 3.0840 -0.0523 1.0060  C9 1.548, N12 1.481, H30 1.076, H31 1.070
14 H 3.1341 -6.3056 4.7207  O4 0.975
15 H 0.9672 -4.7792 4.5703  C5 1.079
16 H 1.6514 -3.1786 4.7335  C5 1.074
17 H -0.4734 -3.7074 3.2738  C6 1.079
18 H 0.6327 -4.1475 2.0369  C6 1.075
19 H 1.3253 -1.5396 3.2412  C7 1.082
20 H -0.3269 -1.5792 2.7413  C7 1.080
21 H 0.6461 -2.4719 0.4457  C8 1.077
22 H 0.4924 -0.7817 0.8245  C8 1.076
23 H 2.9487 -1.9344 1.8624  C9 1.081
24 H 2.8239 -1.7939 -1.1816  C10 1.077
25 H 3.4293 -3.0851 -0.2441  C10 1.076
26 H 4.9048 -0.8752 -0.9710  C11 1.074
27 H 5.4293 -2.1390 0.1765  C11 1.072
28 H 4.7783 -0.8060 1.9378  N12 1.019
29 H 5.1044 0.4432 0.9520  N12 1.019
30 H 2.6953 0.4047 1.8989  C13 1.076
31 H 2.8292 0.4360 0.0881  C13 1.070
32 C -1.5713 3.9417 -0.4376  C33 1.337, C38 1.455, H42 1.081
33 C -0.8950 2.8381 -0.7741  C32 1.337, C34 1.499, O41 1.330
34 C 0.0207 2.1428 0.1874  C33 1.499, O35 1.226, C36 1.448
35 O 0.5895 1.1266 -0.1957  C34 1.226
36 C 0.1856 2.7034 1.5120  C34 1.448, C37 1.343, H43 1.081
37 C -0.4899 3.8117 1.8563  C36 1.343, C38 1.506, O40 1.315
38 C -1.4272 4.5000 0.8986  C32 1.455, C37 1.506, O39 1.211
39 O -2.0097 5.4867 1.2920  C38 1.211
40 O -0.3869 4.3732 3.0413  C37 1.315, H44 0.980
41 O -0.9909 2.2833 -1.9789  C33 1.330, H45 0.976
42 H -2.2312 4.4467 -1.1289  C32 1.081
43 H 0.8561 2.2028 2.1957  C36 1.081
44 H -0.9790 5.1541 3.0318  O40 0.980
45 H -0.4104 1.4990 -1.9741  O41 0.976
46 C -0.5133 4.4039 -4.8252  C47 1.337, C52 1.454, H56 1.081
47 C -1.1920 5.5371 -4.6192  C46 1.337, C48 1.501, O55 1.328
48 C -1.4687 6.5135 -5.7257  C47 1.501, O49 1.215, C50 1.455
49 O -2.1064 7.5109 -5.4530  C48 1.215
50 C -0.9544 6.2106 -7.0528  C48 1.455, C51 1.340, H57 1.081
51 C -0.2710 5.0767 -7.2594  C50 1.340, C52 1.503, O54 1.324
52 C -0.0150 4.0903 -6.1550  C46 1.454, C51 1.503, O53 1.216
~~~
- civicrm_financial_item
- civicrm_financial_trxn
- civicrm_line_item
Testing was performed on a production database running CiviCRM 4.6.9 under Drupal 7.38 with MySQL 5.1.73 and PHP 5.3.3.
The full text they sent including an example and their conclusions is attached along with a spreadsheet with detailed test results for the following use cases:
Contribution Only
Contribution Only + Priceset
Contribution Only + Tax (Contains possibly related issue with Cancelling contributions)
Contribution Only + Tax + Priceset
Membership + Tax
Membership + Tax + Priceset
Event (Participant) + Tax
Event + Tax + Priceset
As mentioned in the previous ticket, I suspect there may be an issue with the check for a component line 1114 in CRM/Contribute/Form/Contribution.php:
if (!CRM_Utils_Array::value('membership', $componentDetails) || !CRM_Utils_Array::value('participant', $componentDetails))
This looks like a logic error as to fail it requires both a membership and participant component to be present on the contribution, which as far as I can see renders the condition a no-op and goes on to check the contribution status is being updated.
I have the impression conditions should be something along the lines of:
- Is this an UPDATE action, AND
- is there a membership component, OR
- is there a participant component
And the actual content of the update should be ignored as there is no opportunity to change the total amount.
Issue Links
- is supplemented by
CRM-19538 Tax on Memberships is extremely wrong
- Done/Fixed
Pull request submitted at